WASHINGTON (AP) — The weariness, the rage, the depressing conviction that Black life is stuck in a murderous loop fueled by racism — these emotions resounded in Black America after the deadly shootings at the Emanuel African Methodist Episcopal Church in Charleston, South Carolina.
[Attached: records of crystals]
- - -
Record 1
A plane-wave DFT calculation with GGA-PBE was carried out for a geometry-optimized ZrInPt2 structure.

Output
**V**: 76 Å³ per cell

abc: 3.4002 3.4002 6.6078
angles: 90.00 90.00 90.00
Closest atoms and distances in Å follow each position.
Space group P4/mmm (No. 123)
Symmetry-distinct sites (fractional):
Zr  0.0000  0.0000  0.0000 x1  8 Pt 2.84
In  0.0000  0.0000  0.5000 x1  8 Pt 3.00, 2 Zr 3.30
Pt  0.5000  0.5000  0.2286 x2  4 Zr 2.84, 4 In 3.00, 1 Pt 3.02

***

Record 2
A plane-wave DFT calculation with GGA-PBE was carried out for a geometry-optimized U2Si5Ru3 structure.

Output
**V**: 655 Å³ per cell

abc: 11.1650 11.8058 5.7087
angles: 90.00 119.46 90.00
Closest atoms and distances in Å follow each position.
Space group C2/c (No. 15)
Symmetry-distinct sites (fractional):
U  0.2313  0.1367  0.2369 x8  10 Si 2.96-3.29, 4 Ru 3.00-3.25
Si  0.0000  0.0138  0.2500 x4  4 Ru 2.43-2.46
Si  0.0000  0.2789  0.2500 x4  3 Ru 2.49-2.61, 2 Si 2.55
Si  0.0000  0.2957  0.7500 x4  3 Ru 2.36-2.42, 2 Si 2.50
Si  0.1638  0.4009  0.1653 x8  3 Ru 2.36-2.47, 2 Si 2.50-2.55
Ru  0.0000  0.4997  0.2500 x4  6 Si 2.41-2.61
Ru  0.1003  0.1445  0.6351 x8  5 Si 2.36-2.49

***

Record 3
A plane-wave DFT calculation with GGA-PBE was carried out for a geometry-optimized BaSrTi4O12 structure.

Output
**V**: 245 Å³ per cell

abc: 5.5758 5.5758 7.8796
angles: 90.00 90.00 90.00
Closest atoms and distances in Å follow each position.
Space group P4/mmm (No. 123)
Symmetry-distinct sites (fractional):
Ba  0.0000  0.0000  0.0000 x1  12 O 2.79-2.83
Sr  0.5000  0.5000  0.5000 x1  12 O 2.74-2.79
Ti  0.0000  0.5000  0.2520 x4  6 O 1.95-1.99
O  0.0000  0.5000  0.0000 x2  2 Ti 1.99
O  0.0000  0.5000  0.5000 x2  2 Ti 1.95
O  0.2527  0.2527  0.2548 x8  2 Ti 1.97

***

Record 4
A plane-wave DFT calculation with GGA-PBE was carried out for a geometry-optimized Ge3Ir2Se3 structure.

Output
**V**: 671 Å³ per cell
**Energy above the most stable polymorph in this dataset**: 340 meV per atom

abc: 8.7536 8.7536 8.7536
- - -
Nine people who had gathered to pray in one of the main sanctuaries of Black life — the church — were slain.
This, following a string of Black men killed after coming into contact with police officers in cities across America and racist actions on campuses. Even though African-Americans are long accustomed to dealing with difficulty where their race is concerned, the confluence of events appeared to be taking a toll.
“We really are a people who are suffering from racial battle fatigue,” political essayist and commentator Chauncey DeVega said Thursday.
Authorities say Dylann Storm Roof sat with members of Emanuel for an hour during Bible study Wednesday night before gunning them down. The Charleston police chief wouldn’t discuss a motive, but a friend of the 21-year-old white man told The Associated Press that Roof had complained about Black people “taking over the world.”
Attorney General Loretta Lynch, the first Black woman to serve as the nation’s top prosecutor, opened a hate crimes investigation.
The Rev. Anthony Evans of the National Black Church Initiative said he planned to travel to Charleston to help churches learn to defend themselves. He said the attack evoked “a point of deep moral frustration that cannot be explained.”
“At the same time, they want individuals such as myself as clergy to preach peace and coming together,” he said. “They only want us to not let the people get out of hand, and I’m not willing to stand in front of that angry crowd anymore and tell them that their anger is the wrong emotion to feel.”
President Barack Obama, too, sounded weary.
“I’ve had to make statements like this too many times,” the nation’s first Black president said Thursday. “Communities like this have had to endure tragedies like this too many times.”
The Charleston slayings followed nearly a year of heightened racial tensions that began with the death of Michael Brown, 18, who was killed by a white police officer in Ferguson, Missouri. It flared up in Baltimore after the death of Freddie Gray, in Cleveland after the death of Tamir Rice, in Staten Island, New York, after the death of Eric Garner.
Threats came, too, on U.S. campuses. At Duke University, a noose was found hanging from a tree. Spray-painted swastikas and nooses were found at dorms on the State University of New York’s Purchase campus. Just Thursday, a man pleaded guilty in federal court to threatening African-American students and employees at the University of Mississippi by helping place a rope around the neck of the statue of James Meredith, the school’s first African-American student.
Those events unfolded against a backdrop of above-average Black unemployment, crime-stricken communities, criticism of the state of the Black family, Black culture and education, and even debate over the meaning of Blackness itself. In the days before the Charleston shooting, the nation had been riveted by the saga of Rachel Dolezal, who resigned as head of the NAACP’s Spokane, Washington, chapter after her parents outed her as a White woman pretending to be Black.
To Marc Morial, the president of the National Urban League, the Charleston attack serves as yet another reminder that there’s “racial tension, racial conflict and, in some places, racial hatred in this nation.”
“It just underscores the fact that we have a lot of work to do,” Morial said.
Jesse J. Holland covers race, ethnicity and demographics for The Associated Press. Follow him on Twitter at https://www.twitter.com/jessejholland.
This, following a string of Black men killed after coming into contact with police officers in cities across America and racist actions on campuses. Even though African-Americans are long accustomed to dealing with difficulty where their race is concerned, the confluence of events appeared to be taking a toll.
“We really are a people who are suffering from racial battle fatigue,” political essayist and commentator Chauncey DeVega said Thursday.
Authorities say Dylann Storm Roof sat with members of Emanuel for an hour during Bible study Wednesday night before gunning them down. The Charleston police chief wouldn’t discuss a motive, but a friend of the 21-year-old white man told The Associated Press that Roof had complained about Black people “taking over the world.”
Attorney General Loretta Lynch, the first Black woman to serve as the nation’s top prosecutor, opened a hate crimes investigation.
The Rev. Anthony Evans of the National Black Church Initiative said he planned to travel to Charleston to help churches learn to defend themselves. He said the attack evoked “a point of deep moral frustration that cannot be explained.”
“At the same time, they want individuals such as myself as clergy to preach peace and coming together,” he said. “They only want us to not let the people get out of hand, and I’m not willing to stand in front of that angry crowd anymore and tell them that their anger is the wrong emotion to feel.”
President Barack Obama, too, sounded weary.
“I’ve had to make statements like this too many times,” the nation’s first Black president said Thursday. “Communities like this have had to endure tragedies like this too many times.”
The Charleston slayings followed nearly a year of heightened racial tensions that began with the death of Michael Brown, 18, who was killed by a white police officer in Ferguson, Missouri. It flared up in Baltimore after the death of Freddie Gray, in Cleveland after the death of Tamir Rice, in Staten Island, New York, after the death of Eric Garner.
Threats came, too, on U.S. campuses. At Duke University, a noose was found hanging from a tree. Spray-painted swastikas and nooses were found at dorms on the State University of New York’s Purchase campus. Just Thursday, a man pleaded guilty in federal court to threatening African-American students and employees at the University of Mississippi by helping place a rope around the neck of the statue of James Meredith, the school’s first African-American student.
Those events unfolded against a backdrop of above-average Black unemployment, crime-stricken communities, criticism of the state of the Black family, Black culture and education, and even debate over the meaning of Blackness itself. In the days before the Charleston shooting, the nation had been riveted by the saga of Rachel Dolezal, who resigned as head of the NAACP’s Spokane, Washington, chapter after her parents outed her as a White woman pretending to be Black.
To Marc Morial, the president of the National Urban League, the Charleston attack serves as yet another reminder that there’s “racial tension, racial conflict and, in some places, racial hatred in this nation.”
“It just underscores the fact that we have a lot of work to do,” Morial said.
Jesse J. Holland covers race, ethnicity and demographics for The Associated Press. Follow him on Twitter at https://www.twitter.com/jessejholland.